Chapter 82 Incoming Danger

Chapter 82 Incoming Danger

Henry's voice seemed to be as cold as ice, sending shivers down Elton's entire body. When he turned around, he could see a black-haired young man in his mid-twenties with a kingly demeanor that couldn't be hidden by the rags covering his body. The man's face was sharp and well outlined, a fire seemed to be burning inside those grey eyes, which were looking at Elton with a concealed fury, masked by an apathetic smile.

The image of Grok lying on the cold ground with organs almost dropping to the ground, struggling to breathe as his blood painted the snow beneath him, ignited an undeniable fury within Henry. This was one of his soldiers, and someone had dared to do this to him. Deep down, he believed that he alone held the right to take action against his soldiers, and those who dared to soil his honor should perish. The arrogance and image of a king laid on the capacity of protecting his subjects.

Henry's fist clenched around his sword, its blade chipped all over from hitting continuously against the boulder, as he took a deep breath, deep enough to fill his lungs completely. He took the raw Mana from the outside and guided it using the Sun God Technique, directing it from his lungs to his heart, using his Mana Circuits as pathways. The heart functioned like a furnace, where the Mana could be transformed into Elemental Mana, if the user had the right lineage and affinity, and then stored until it was used.

Normally, these pathways worked as one-way streets, where the directed Mana had to be utilized, without any way to return to the heart for reuse. This demanded a high level of control from the user, as sending large amounts of unnecessary Mana could result in its loss. Unlike most Techniques and lineages, the Sun God Technique, combined with the Stahl family's blood, appeared to create a circular pathway.

This combination allowed those of Stahl's blood to establish both an outgoing and a returning path, greatly reducing Mana consumption to at least half that of other practitioners. However, the creation of these new Mana Circuits, which most humans were not naturally born with them, was accompanied by an immense burning pain that was accompanied by the strengthen of the muscles with the Fire Mana. Those Mana Circuits seemed sturdier than the normal ones.

Unfortunately, the construction of new Mana Circuits and the reinforcement of muscles meant that pain was greatly amplified, which led to only a few members of Stahl's lineage to succeed in enduring the painful process. When he looked back, Henry thought that he only survived this excruciating part thanks to the merge of two souls, which provided him with enough willpower to endure everything. CHeCk for new stories on no/v/el/bin(.)c0m

"Because of this daring act, disrespecting me and my soldiers in my own land..." Henry said coldly, not minding putting on a hood to hide his features – "You shall die."

The king directed the Fire Mana into his sword, causing it to be covered in some type of quiet flames, which slightly melted the snow around him. Henry didn't concern himself with the enemies approaching from behind him, who were trying their best to rapidly climb the slope, fully trusting that his soldiers would take care of it, especially with their drained stamina. The only thought in Henry's head was to take that man's head.

"Damn you! It's all because of you!" - Elton furiously screamed, sensing that his Mana Circuits were shattering with the huge influx of energy – "I will make you pay!"

At that moment, Elton wasn't a rational being anymore, only a beast that wanted to take revenge on the person who disabled him. There was no way that he would continue being held in such a social status or even survive with his countless enemies without the power to fight back.

Elton lunged forward in a frenzy, his sword arcing toward Henry in a retaliatory and vengeful attack. However, Henry's reflexes were as sharp and swift as his blade. With a calculated step, he utilized the melted snow beneath him to his advantage, effortlessly dodging the bow while launching a counterattack. Henry's attacks were still fueled by fury but controlled by a calm heart. He wanted to end this man's life, but he would never put himself in danger.

The clash of their swords echoed in rapid succession throughout the mountain, creating a dance of steel and fire as they exchanged parries and strikes, creating some sort of spectacle on top of the mountain. Henry's movements were precise and calculated, whereas Elton's attacks were could only be considered as crazy, fueled by brute force.

Suddenly, amidst the music of strikes, Henry's body twisted with a blurring speed. His legs swept in a semi-circular arc and threw snow toward Elton, shrouding the man's vision. The fat captain, out of reflex, closed his eyes, something forbidden in such a fight. At that moment, in the blink of an eye, a red blade thrust through the snow, piercing Elton's heart.


Down the mountain, on top of a tree, Leier was closely watching the mountain's path, waiting for anyone who tried to run away. Suddenly, her peripheric vision captured a mass of soldiers approaching her position.

"Luak's soldiers" – Leier murmured, her eyes wide open as she tried to think about the reasons that led such a contingent of soldiers to set out of the camp.

Here the page breaks off for calculated crystals >
-- begin --
1.
# Cu2PbF8
Theoretical powder diffractogram, Cu Kα (weighted mean of Kα1 and Kα2). Input: a DFT-relaxed cell (PBE, Alexandria).
Intensities are scaled so that the largest is 100.

Atomic structure:
```
Cu2PbF8
1.0
6.6964 0.0000 0.0000
-3.3482 5.7992 0.0000
0.0000 0.0000 3.8801
Cu Pb F
2 1 8
direct
0.3333 0.6667 0.2477
0.6667 0.3333 0.7523
0.0000 0.0000 0.5000
0.1632 0.3286 0.2378
0.1653 0.8368 0.2378
0.3286 0.1653 0.7622
0.3333 0.6667 0.7477
0.6667 0.3333 0.2523
0.6714 0.8347 0.2378
0.8347 0.1632 0.7622
0.8368 0.6714 0.7622
```

Top 10 peaks for 10 to 90 degrees two-theta, sorted by position:
(1 0 0), 15.28 deg, I = 55
(1 1 0), 26.62 deg, I = 100
(1 0 1), 27.66 deg, I = 85
(1 1 1), 35.41 deg, I = 35
(2 0 1), 38.77 deg, I = 28
(2 1 1), 47.65 deg, I = 40
(0 1 2), 49.55 deg, I = 23
(2 2 0), 54.84 deg, I = 26
(0 2 2), 57.12 deg, I = 24
(3 -2 2), 64.10 deg, I = 22



2.
# Dy2Tl3Hg3
Theoretical powder diffractogram, Cu Kα (weighted mean of Kα1 and Kα2). Input: a DFT-relaxed cell (PBE, Alexandria).
Intensities are scaled so that the largest is 100.

Atomic structure:
```
Dy2Tl3Hg3
1.0
4.4508 0.0000 0.0000
0.0000 4.8103 0.0000
0.0000 0.0000 9.5674
Dy Tl Hg
2 3 3
direct
0.0000 0.0000 0.2492
0.0000 0.0000 0.7508
0.0000 0.5000 0.0000
0.0000 0.5000 0.5000
0.5000 0.0000 0.5000
0.5000 0.0000 0.0000
0.5000 0.5000 0.2496
0.5000 0.5000 0.7504
```

Top 10 peaks for 10 to 90 degrees two-theta, sorted by position:
(1 1 2), 33.21 deg, I = 100
(0 2 0), 37.39 deg, I = 18
(0 0 4), 37.61 deg, I = 18
(2 0 0), 40.54 deg, I = 15
(0 2 4), 54.07 deg, I = 13
(2 2 0), 56.32 deg, I = 11
(1 3 2), 64.80 deg, I = 15
(1 1 6), 65.09 deg, I = 15
(3 1 2), 69.10 deg, I = 12
(2 2 4), 69.71 deg, I = 12



3.
# Ce4Sb2AsSe
Theoretical powder diffractogram, Cu Kα (weighted mean of Kα1 and Kα2). Input: a DFT-relaxed cell (PBE, Alexandria).
Intensities are scaled so that the largest is 100.

Atomic structure:
```
Ce4Sb2AsSe
1.0
7.5221 0.0000 0.0000
0.0000 4.3524 0.0000
-2.5175 0.0000 7.1444
Ce Sb As Se
4 2 1 1
direct
0.2418 0.0000 0.2326
0.2529 0.5000 0.7663
0.7471 0.5000 0.2337
0.7582 0.0000 0.7674
0.0000 0.0000 0.5000
0.5000 0.5000 0.5000
0.0000 0.5000 0.0000
0.5000 0.0000 0.0000
```

Top 10 peaks for 10 to 90 degrees two-theta, sorted by position:
(1 1 1), 28.98 deg, I = 100
(2 0 2), 41.36 deg, I = 37
(0 2 0), 41.54 deg, I = 38
(2 2 -2), 51.41 deg, I = 13
(4 0 0), 51.53 deg, I = 7
(2 2 2), 60.06 deg, I = 12
(3 1 3), 67.92 deg, I = 16
(4 2 0), 68.21 deg, I = 11
(4 2 -4), 75.62 deg, I = 8
(3 3 -1), 75.76 deg, I = 8

~~~~~

Calculated X-ray diffraction stick pattern
Compound: Pa2Cu3S6
Radiation: CuKα
Structure: a cell relaxed with GGA-PBE
Lines closer than 0.1° are merged.

The 6 most intense peaks (2θ from 15° to 90°), sorted by position:
2θ = 15.08°, intensity 100, hkl 2 0 0; 2θ = 25.07°, intensity 24, hkl 3 1 -1; 2θ = 28.52°, intensity 63, hkl 3 1 1; 2θ = 34.82°, intensity 21, hkl 1 1 -5; 2θ = 37.13°, intensity 38, hkl 3 1 3; 2θ = 46.35°, intensity 25, hkl 3 3 -3

Structural model:
```
-- stop --
The calculated crystals stop here >

However, her doubts were soon answered as her gaze landed on a blue-haired woman leading them. Zuna...the woman who dared to play with her king, trying to take away his lands.